____________
Here is K2SrB8H28O28 after structural relaxation from the Materials Project database. Energies are from PBE.

Results
Calculated volume = 9.54 Å³ per atom
Crystal system = orthorhombic
SG = No. 33
Total DFT energy (no corrections) = -397.16 eV per formula unit

a b c (Å): 16.738 13.143 11.616
angles (deg): 90.00 90.00 90.00
Positions (direct):
K 0.179 0.248 0.000
K 0.246 0.802 0.183
K 0.254 0.302 0.683
K 0.321 0.748 0.500
K 0.679 0.252 0.000
K 0.746 0.698 0.183
K 0.754 0.198 0.683
K 0.821 0.752 0.500
Sr 0.197 0.794 0.827
Sr 0.303 0.294 0.327
Sr 0.697 0.706 0.827
Sr 0.803 0.206 0.327
B 0.052 0.028 0.897
B 0.054 0.551 0.157
B 0.055 0.319 0.656
B 0.056 0.037 0.109
B 0.056 0.539 0.944
B 0.064 0.851 0.386
B 0.069 0.009 0.504
B 0.069 0.484 0.556
B 0.431 0.509 0.004
B 0.431 0.984 0.056
B 0.436 0.351 0.886
B 0.444 0.039 0.444
B 0.444 0.537 0.609
B 0.445 0.819 0.156
B 0.446 0.051 0.657
B 0.448 0.528 0.397
B 0.552 0.472 0.897
B 0.554 0.949 0.157
B 0.555 0.181 0.656
B 0.556 0.463 0.109
B 0.556 0.961 0.944
B 0.564 0.649 0.386
B 0.569 0.016 0.556
B 0.569 0.491 0.504
B 0.931 0.516 0.056
B 0.931 0.991 0.004
B 0.936 0.149 0.886
B 0.944 0.461 0.444
B 0.944 0.963 0.609
B 0.945 0.681 0.156
B 0.946 0.449 0.657
B 0.948 0.972 0.397
H 0.025 0.360 0.141
H 0.033 0.845 0.944
H 0.051 0.759 0.651
H 0.059 0.191 0.754
H 0.061 0.754 0.027
H 0.067 0.053 0.283
H 0.069 0.534 0.772
H 0.070 0.725 0.287
H 0.071 0.275 0.212
H 0.080 0.512 0.321
H 0.082 0.988 0.736
H 0.114 0.828 0.588
H 0.116 0.129 0.591
H 0.118 0.283 0.417
H 0.124 0.371 0.330
H 0.127 0.615 0.510
H 0.183 0.625 0.016
H 0.185 0.975 0.994
H 0.192 0.451 0.189
H 0.198 0.076 0.810
H 0.198 0.106 0.206
H 0.203 0.475 0.870
H 0.209 0.595 0.305
H 0.211 0.929 0.408
H 0.213 0.605 0.655
H 0.220 0.471 0.499
H 0.222 0.130 0.500
H 0.226 0.957 0.625
H 0.274 0.457 0.125
H 0.278 0.630 0.000
H 0.280 0.971 0.999
H 0.287 0.105 0.155
H 0.289 0.429 0.908
H 0.291 0.095 0.805
H 0.297 0.975 0.370
H 0.302 0.576 0.310
H 0.302 0.606 0.706
H 0.308 0.951 0.689
H 0.315 0.475 0.494
H 0.317 0.125 0.516
H 0.373 0.115 0.010
H 0.376 0.871 0.830
H 0.382 0.783 0.917
H 0.384 0.629 0.091
H 0.386 0.328 0.088
H 0.418 0.488 0.236
H 0.420 0.012 0.821
H 0.429 0.775 0.712
H 0.430 0.225 0.787
H 0.431 0.034 0.272
H 0.433 0.553 0.783
H 0.439 0.254 0.527
H 0.441 0.691 0.254
H 0.449 0.259 0.151
H 0.467 0.345 0.444
H 0.475 0.860 0.641
H 0.525 0.140 0.141
H 0.533 0.655 0.944
H 0.551 0.741 0.651
H 0.559 0.309 0.754
H 0.561 0.746 0.027
H 0.567 0.447 0.283
H 0.569 0.966 0.772
H 0.570 0.775 0.287
H 0.571 0.225 0.212
H 0.580 0.988 0.321
H 0.582 0.512 0.736
H 0.614 0.672 0.588
H 0.616 0.371 0.591
H 0.618 0.217 0.417
H 0.624 0.129 0.330
H 0.627 0.885 0.510
H 0.683 0.875 0.016
H 0.685 0.525 0.994
H 0.692 0.049 0.189
H 0.698 0.394 0.206
H 0.698 0.424 0.810
H 0.703 0.025 0.870
H 0.709 0.905 0.305
H 0.711 0.571 0.408
H 0.713 0.895 0.655
H 0.720 0.029 0.499
H 0.722 0.370 0.500
H 0.726 0.543 0.625
H 0.774 0.043 0.125
H 0.778 0.870 0.000
H 0.780 0.529 0.999
H 0.787 0.395 0.155
H 0.789 0.071 0.908
H 0.791 0.405 0.805
H 0.797 0.525 0.370
H 0.802 0.894 0.706
H 0.802 0.924 0.310
H 0.808 0.549 0.689
H 0.815 0.025 0.494
H 0.817 0.375 0.516
H 0.873 0.385 0.010
H 0.876 0.629 0.830
H 0.882 0.717 0.917
H 0.884 0.871 0.091
H 0.886 0.172 0.088
H 0.918 0.012 0.236
H 0.920 0.488 0.821
H 0.929 0.725 0.712
H 0.930 0.275 0.787
H 0.931 0.466 0.272
H 0.933 0.947 0.783
H 0.939 0.246 0.527
H 0.941 0.809 0.254
H 0.949 0.241 0.151
H 0.967 0.155 0.444
H 0.975 0.640 0.641
O 0.014 0.046 0.415
O 0.014 0.519 0.648
O 0.015 0.127 0.859
O 0.023 0.657 0.187
O 0.024 0.987 0.612
O 0.025 0.481 0.443
O 0.043 0.287 0.138
O 0.069 0.784 0.951
O 0.090 0.230 0.693
O 0.097 0.045 0.007
O 0.097 0.556 0.046
O 0.099 0.054 0.210
O 0.100 0.380 0.585
O 0.101 0.544 0.844
O 0.103 0.768 0.341
O 0.107 0.912 0.461
O 0.109 0.777 0.650
O 0.110 0.519 0.248
O 0.110 0.992 0.812
O 0.134 0.079 0.533
O 0.139 0.299 0.340
O 0.140 0.549 0.544
O 0.228 0.671 0.995
O 0.232 0.928 0.989
O 0.236 0.413 0.876
O 0.239 0.410 0.166
____________
Next, work out how many lines earlier on have the word "energy" in them; a number is enough.
1